/*
Record 1
Starting from a structure optimized by DFT (GGA-PBE), the powder XRD pattern of SmGeO was calculated for Cu Kα (λ = 1.5418 Å).
Lines closer than 0.1° are merged.

Atomic structure:
```
SmGeO
1.0
1.972 1.139 8.468
-1.972 1.139 8.468
0.000 -2.277 8.468
Sm Ge O
2 2 2
Direct
0.109 0.109 0.109
0.891 0.891 0.891
0.355 0.355 0.355
0.645 0.645 0.645
0.201 0.201 0.201
0.799 0.799 0.799
```

Top 10 peaks for 2θ from 10° to 80°, most intense first:
29.69°, d 3.009, intensity 1000; 46.02°, d 1.972, intensity 440; 56.94°, d 1.617, intensity 323; 31.56°, d 2.835, intensity 288; 31.70°, d 2.823, intensity 237; 38.72°, d 2.326, intensity 216; 54.08°, d 1.696, intensity 210; 26.32°, d 3.386, intensity 194; 55.73°, d 1.649, intensity 171; 75.07°, d 1.265, intensity 141

---

Record 2
Starting from a structure optimized by DFT (GGA-PBE), the powder XRD pattern of Sm12Dy2Sc was calculated for Cu Kα (λ = 1.5418 Å).
Lines closer than 0.1° are merged.

Atomic structure:
```
Sm12Dy2Sc
1.0
3.575 -5.723 0.000
3.575 5.723 0.000
0.000 0.000 24.629
Sm Dy Sc
24 4 2
Direct
0.001 0.501 0.124
0.001 0.999 0.928
0.018 0.518 0.587
0.023 0.977 0.439
0.250 0.250 0.197
0.250 0.250 0.324
0.250 0.250 0.676
0.250 0.250 0.803
0.477 0.523 0.439
0.482 0.982 0.587
0.499 0.501 0.928
0.499 0.999 0.124
0.501 0.001 0.876
0.501 0.499 0.072
0.518 0.018 0.413
0.523 0.477 0.561
0.750 0.750 0.197
0.750 0.750 0.324
0.750 0.750 0.676
0.750 0.750 0.803
0.977 0.023 0.561
0.982 0.482 0.413
0.999 0.001 0.072
0.999 0.499 0.876
0.250 0.750 0.268
0.250 0.750 0.737
0.750 0.250 0.263
0.750 0.250 0.732
0.250 0.750 0.000
0.750 0.250 0.000
```

Top 10 peaks for 2θ from 10° to 80°, most intense first:
30.36°, d 2.944, intensity 1000; 31.26°, d 2.862, intensity 689; 33.04°, d 2.711, intensity 629; 32.93°, d 2.720, intensity 390; 36.85°, d 2.439, intensity 357; 29.81°, d 2.997, intensity 332; 28.88°, d 3.092, intensity 221; 62.20°, d 1.492, intensity 213; 61.13°, d 1.516, intensity 197; 43.09°, d 2.099, intensity 190

---

Record 3
Starting from a structure optimized by DFT (GGA-PBE), the powder XRD pattern of Li3Si3Ag2 was calculated for Cu Kα (λ = 1.5418 Å).
Lines closer than 0.1° are merged.

Atomic structure:
```
Li3Si3Ag2
1.0
6.073 0.000 0.000
0.000 6.073 0.000
0.000 0.000 6.601
Li Si Ag
6 6 4
Direct
0.000 0.000 0.000
0.000 0.500 0.500
0.250 0.750 0.250
0.500 0.000 0.500
0.500 0.500 0.000
0.750 0.250 0.750
0.250 0.250 0.250
0.250 0.250 0.750
0.250 0.750 0.750
0.750 0.250 0.250
0.750 0.750 0.250
0.750 0.750 0.750
0.000 0.000 0.500
0.000 0.500 0.000
0.500 0.000 0.000
0.500 0.500 0.500
```

Top 10 peaks for 2θ from 10° to 80°, most intense first:
24.73°, d 3.600, intensity 1000; 40.36°, d 2.235, intensity 617; 49.42°, d 1.844, intensity 290; 42.08°, d 2.147, intensity 273; 75.74°, d 1.256, intensity 182; 46.37°, d 1.958, intensity 177; 29.41°, d 3.037, intensity 143; 64.39°, d 1.447, intensity 125; 72.20°, d 1.308, intensity 104; 27.02°, d 3.300, intensity 88

---

Record 4
Starting from a structure optimized by DFT (GGA-PBE), the powder XRD pattern of Er2ThTe3 was calculated for Cu Kα (λ = 1.5418 Å).
Lines closer than 0.1° are merged.

Atomic structure:
```
Er2ThTe3
1.0
4.198 0.000 0.000
0.000 6.195 0.000
0.000 0.000 13.642
Er Th Te
4 2 6
Direct
0.000 0.000 0.157
0.000 0.000 0.843
0.500 0.500 0.343
0.500 0.500 0.657
0.000 0.000 0.500
0.500 0.500 0.000
0.000 0.500 0.179
0.000 0.500 0.500
0.000 0.500 0.821
0.500 0.000 0.000
0.500 0.000 0.321
0.500 0.000 0.679
```

Top 10 peaks for 2θ from 10° to 80°, most intense first:
28.95°, d 3.084, intensity 1000; 41.31°, d 2.186, intensity 770; 28.82°, d 3.098, intensity 554; 49.74°, d 1.833, intensity 209; 39.64°, d 2.274, intensity 200; 52.68°, d 1.738, intensity 195; 67.69°, d 1.384, intensity 179; 43.10°, d 2.099, intensity 175; 67.89°, d 1.381, intensity 165; 73.06°, d 1.295, intensity 126

---

Question: What is the formula in the third record?
Answer: Li3Si3Ag2

=====
*/

The reader should start at the top of the block above and echo each line, ending with the one that has "0.179".

Record 1
Starting from a structure optimized by DFT (GGA-PBE), the powder XRD pattern of SmGeO was calculated for Cu Kα (λ = 1.5418 Å).
Lines closer than 0.1° are merged.

Atomic structure:
```
SmGeO
1.0
1.972 1.139 8.468
-1.972 1.139 8.468
0.000 -2.277 8.468
Sm Ge O
2 2 2
Direct
0.109 0.109 0.109
0.891 0.891 0.891
0.355 0.355 0.355
0.645 0.645 0.645
0.201 0.201 0.201
0.799 0.799 0.799
```

Top 10 peaks for 2θ from 10° to 80°, most intense first:
29.69°, d 3.009, intensity 1000; 46.02°, d 1.972, intensity 440; 56.94°, d 1.617, intensity 323; 31.56°, d 2.835, intensity 288; 31.70°, d 2.823, intensity 237; 38.72°, d 2.326, intensity 216; 54.08°, d 1.696, intensity 210; 26.32°, d 3.386, intensity 194; 55.73°, d 1.649, intensity 171; 75.07°, d 1.265, intensity 141

---

Record 2
Starting from a structure optimized by DFT (GGA-PBE), the powder XRD pattern of Sm12Dy2Sc was calculated for Cu Kα (λ = 1.5418 Å).
Lines closer than 0.1° are merged.

Atomic structure:
```
Sm12Dy2Sc
1.0
3.575 -5.723 0.000
3.575 5.723 0.000
0.000 0.000 24.629
Sm Dy Sc
24 4 2
Direct
0.001 0.501 0.124
0.001 0.999 0.928
0.018 0.518 0.587
0.023 0.977 0.439
0.250 0.250 0.197
0.250 0.250 0.324
0.250 0.250 0.676
0.250 0.250 0.803
0.477 0.523 0.439
0.482 0.982 0.587
0.499 0.501 0.928
0.499 0.999 0.124
0.501 0.001 0.876
0.501 0.499 0.072
0.518 0.018 0.413
0.523 0.477 0.561
0.750 0.750 0.197
0.750 0.750 0.324
0.750 0.750 0.676
0.750 0.750 0.803
0.977 0.023 0.561
0.982 0.482 0.413
0.999 0.001 0.072
0.999 0.499 0.876
0.250 0.750 0.268
0.250 0.750 0.737
0.750 0.250 0.263
0.750 0.250 0.732
0.250 0.750 0.000
0.750 0.250 0.000
```

Top 10 peaks for 2θ from 10° to 80°, most intense first:
30.36°, d 2.944, intensity 1000; 31.26°, d 2.862, intensity 689; 33.04°, d 2.711, intensity 629; 32.93°, d 2.720, intensity 390; 36.85°, d 2.439, intensity 357; 29.81°, d 2.997, intensity 332; 28.88°, d 3.092, intensity 221; 62.20°, d 1.492, intensity 213; 61.13°, d 1.516, intensity 197; 43.09°, d 2.099, intensity 190

---

Record 3
Starting from a structure optimized by DFT (GGA-PBE), the powder XRD pattern of Li3Si3Ag2 was calculated for Cu Kα (λ = 1.5418 Å).
Lines closer than 0.1° are merged.

Atomic structure:
```
Li3Si3Ag2
1.0
6.073 0.000 0.000
0.000 6.073 0.000
0.000 0.000 6.601
Li Si Ag
6 6 4
Direct
0.000 0.000 0.000
0.000 0.500 0.500
0.250 0.750 0.250
0.500 0.000 0.500
0.500 0.500 0.000
0.750 0.250 0.750
0.250 0.250 0.250
0.250 0.250 0.750
0.250 0.750 0.750
0.750 0.250 0.250
0.750 0.750 0.250
0.750 0.750 0.750
0.000 0.000 0.500
0.000 0.500 0.000
0.500 0.000 0.000
0.500 0.500 0.500
```

Top 10 peaks for 2θ from 10° to 80°, most intense first:
24.73°, d 3.600, intensity 1000; 40.36°, d 2.235, intensity 617; 49.42°, d 1.844, intensity 290; 42.08°, d 2.147, intensity 273; 75.74°, d 1.256, intensity 182; 46.37°, d 1.958, intensity 177; 29.41°, d 3.037, intensity 143; 64.39°, d 1.447, intensity 125; 72.20°, d 1.308, intensity 104; 27.02°, d 3.300, intensity 88

---

Record 4
Starting from a structure optimized by DFT (GGA-PBE), the powder XRD pattern of Er2ThTe3 was calculated for Cu Kα (λ = 1.5418 Å).
Lines closer than 0.1° are merged.

Atomic structure:
```
Er2ThTe3
1.0
4.198 0.000 0.000
0.000 6.195 0.000
0.000 0.000 13.642
Er Th Te
4 2 6
Direct
0.000 0.000 0.157
0.000 0.000 0.843
0.500 0.500 0.343
0.500 0.500 0.657
0.000 0.000 0.500
0.500 0.500 0.000
0.000 0.500 0.179